Aciliyet Mektebi, SALT Istanbul. Aciliyet Mektebi ” School of Urgency” is an autonomous pedagogic laboratory space located on the first floor at SALT Beyoğlu on İstiklal Caddesi. It started with an urgent need to rethink alternative models for the current education system in Turkey. It aims to engage the existing capacity of knowledge between professionals and academic users and turn itself into a collective learning center.

Axl Books  Publisher. Axl Books ger i huvudsak ut böcker inom områdena arkitektur, konst och filosofi. Utgivning sker på både svenska och engelska och riktar sig till såväl den svenska som internationella marknaden, till akademiker och forskare såväl som den allmänne läsaren. En av tankarna bakom förlaget är att sprida, och göra tillgänglig, också forskningsnära litteratur utanför ett enbart akademiskt sammanhang i syfte att motverka framväxten av ett slutet forskarsamhälle.

BABF Bergen Kunsthall,  Bergen Art Book Fair

BAS, Banu Cennetuglo, Nihan   Istanbul. BAS is an artist run space in Istanbul initiated and run by Banu Cennetoğlu since 2006. At BAS artists’ books and publications are collected,
displayed and produced. Located at Necati Bey Caddesi No:32/2, Karaköy İstanbul.

ccap Christina Caprioli Dance Company

CODEX Art Book Fair California

DKTUS DKTUS is a platform for contemporary art and artistic research in Stockholm. The activities include research seminars, talks, workshops, film screenings, exhibitions, and other cultural events.

EFF Entrance For Film

Firework Editions   publisher

FIS Film I Samtidskonsten / Film in Contemporary Art FiS

Crystal structures that have nothing to do with the page.
# PuAsC
Theoretical powder XRD pattern, Cu Kα (λ = 1.5418 Å). Input: the PBE geometry in Alexandria.
Neutral-atom scattering factors, no anomalous dispersion.

abc: 7.930 7.930 7.930
angles: 150.04 149.89 42.99
Positions (direct):
Pu 0.134 0.134 0.000
Pu 0.866 0.866 0.000
As 0.331 0.331 0.000
As 0.669 0.669 0.000
C 0.345 0.000 0.345
C 0.655 0.000 0.655

The 6 most intense peaks (2θ = 10–80°), by intensity:
30.8°, d = 2.906 Å, I = 100; 39.5°, d = 2.283 Å, I = 80; 22.5°, d = 3.957 Å, I = 67; 24.1°, d = 3.689 Å, I = 62; 48.5°, d = 1.876 Å, I = 35; 28.3°, d = 3.154 Å, I = 32

=====

# CsNa10Pb2
Theoretical powder XRD pattern, Cu Kα (λ = 1.5418 Å). Input: the PBE geometry in Alexandria.
Neutral-atom scattering factors, no anomalous dispersion.

abc: 11.859 9.239 8.980
angles: 81.21 50.35 48.45
Positions (direct):
Cs 0.000 0.000 0.000
Na 0.000 0.000 0.500
Na 0.023 0.347 0.653
Na 0.271 0.486 0.514
Na 0.347 0.023 0.977
Na 0.486 0.271 0.729
Na 0.500 0.500 0.000
Na 0.514 0.729 0.271
Na 0.653 0.977 0.023
Na 0.729 0.514 0.486
Na 0.977 0.653 0.347
Pb 0.000 0.500 0.000
Pb 0.500 0.000 0.500

The 6 most intense peaks (2θ = 10–80°), by intensity:
10.7°, d = 8.244 Å, I = 100; 29.3°, d = 3.053 Å, I = 73; 30.2°, d = 2.963 Å, I = 41; 10.4°, d = 8.525 Å, I = 41; 14.9°, d = 5.926 Å, I = 39; 23.5°, d = 3.786 Å, I = 36

=====

# CaLaGd2
Theoretical powder XRD pattern, Cu Kα (λ = 1.5418 Å). Input: the PBE geometry in Alexandria.
Neutral-atom scattering factors, no anomalous dispersion.

abc: 5.862 5.862 5.862
angles: 60.00 60.00 60.00
Positions (direct):
Ca 0.000 0.000 0.000
La 0.500 0.500 0.500
Gd 0.250 0.250 0.250
Gd 0.750 0.750 0.750

The 6 most intense peaks (2θ = 10–80°), by intensity:
30.5°, d = 2.931 Å, I = 100; 54.2°, d = 1.692 Å, I = 39; 43.7°, d = 2.073 Å, I = 19; 72.0°, d = 1.311 Å, I = 17; 63.5°, d = 1.466 Å, I = 12; 21.4°, d = 4.145 Å, I = 8

=====

# Pm12MgRu7
Theoretical powder XRD pattern, Cu Kα (λ = 1.5418 Å). Input: the PBE geometry in Alexandria.
Neutral-atom scattering factors, no anomalous dispersion.

abc: 8.744 8.744 8.744
angles: 109.32 109.32 109.32
Positions (direct):
Pm 0.091 0.296 0.390
Pm 0.138 0.667 0.303
Pm 0.296 0.390 0.091
Pm 0.303 0.138 0.667
Pm 0.333 0.697 0.862
Pm 0.390 0.091 0.296
Pm 0.610 0.909 0.704
Pm 0.667 0.303 0.138
Pm 0.697 0.862 0.333
Pm 0.704 0.610 0.909
Pm 0.862 0.333 0.697
Pm 0.909 0.704 0.610
Mg 0.000 0.000 0.000
Ru 0.024 0.925 0.298
Ru 0.075 0.702 0.976
Ru 0.298 0.024 0.925
Ru 0.500 0.500 0.500
Ru 0.702 0.976 0.075
Ru 0.925 0.298 0.024
Ru 0.976 0.075 0.702

The 6 most intense peaks (2θ = 10–80°), by intensity:
33.2°, d = 2.702 Å, I = 100; 27.9°, d = 3.195 Å, I = 60; 33.2°, d = 2.696 Å, I = 55; 33.0°, d = 2.716 Å, I = 37; 37.6°, d = 2.391 Å, I = 37; 45.9°, d = 1.979 Å, I = 31

=====

# Zr2Al
Theoretical powder XRD pattern, Cu Kα (λ = 1.5418 Å). Input: the PBE geometry in Alexandria.
Neutral-atom scattering factors, no anomalous dispersion.

abc: 7.178 7.178 4.102
angles: 90.00 90.00 144.28
Positions (direct):

Grafikverkstan Uttersberg

Irrlicht is an independent record label/publishing company with no profit motive. The ambition is to give the future as well as existing modern Swedish masterpiece of small limited editions, with the main focus on vinyl and paper. The books featured here is handmade in an edition of 300 copies each. Internet: Contckt:

Library of the Royal Academy of Fine Arts / Konstakademiens bibliotek


Kunsthall Trondheim

Labyrint Archive  Botkyrka konsthall

mail art Mail art (also known as Postal art and Correspondence art) is a populist artistic movement centered on sending small scale works through the postal service. It initially developed out of the Fluxus movement in the 1950s and 60s, though it has since developed into a global movement that continues to the present. The American artist Ray Johnson is considered to be the first mail artist, and the New York Correspondence School that he developed is considered the first self-conscious network of mail artists. OEI Magazine #65/2014 POSTKONST, about Mailart

OEI OEI is a magazine since its inception in 1999 have given themselves over to the conceptual operations and recontextualisations, conversations, stupidity and noise, language poetry, Canadian pataphysics and contemporary French, German and Finnish poetry … number 9-10 was devoted to the poetic potencial of alternative orthographies and Elis Ernst Erikssons writing. Number 14 was spent devoted to Gertrude Stein. In numbers 15-16 presented a historical review of William S. Burroughs’ cut-up technique, as well as diverse contemporary adaptations and transformations of procedures montage and collage. In kvadrupelnumret 18/19/20/21 triangulated the archival 616 pages between visual poetry, text and koncepuellt writing. Number 22/23 inventoried the internationelllt exponentially growing field spelled digital poetry, cyber poetry, etc. AUDIOE 2 (28/29/30) themed lights, noise, sound poetry and sonorous archeology. Number 33/34/35 tried to write about the Swedish liieraturhistorien from the perspective of nonsense, fictional language and conceptual-material readings of children’s books. Moreover, the number contained a large block of Little Magazines, a documentary and a sound piece by Bengt Adlers. Number 37-38 is an ambitious survey work on it too unexplored fields that spelled ”editorial aesthetics”. Future issues about contemporary Polish, Italian, Canadian and French poetry, for fun and games, archives and biosemiotik / biogrammatik. Through essays, poetry, criticism, translations and original texts, we want to broaden and differentiate the reflection on and work with poetry and theory, and the journal that shape today and tomorrow.

Plattan Library, Culture House Stockholm, Bibliotek Plattan Kulturhuset Stockholm

Print Press Editions   Graphic school of Art in Stockholm / Grafikskolan i Stockholm

=====
Record 1
YAg2C2O6: simulated powder diffraction line list (Cu Kα X-rays), based on a cell relaxed with GGA-PBE.
Neutral-atom scattering factors, no anomalous dispersion.

Principal peaks in the range 2θ from 10° to 90°, sorted by position:
23.60 deg, 3.770 Å, rel. 100; 30.99 deg, 2.886 Å, rel. 79; 36.08 deg, 2.489 Å, rel. 43; 40.64 deg, 2.220 Å, rel. 30; 43.16 deg, 2.096 Å, rel. 19; 43.57 deg, 2.077 Å, rel. 27; 51.62 deg, 1.771 Å, rel. 14; 57.81 deg, 1.595 Å, rel. 23

Atomic structure:
```
11
Lattice="4.9790 0.0000 0.0000 -2.4895 4.3119 0.0000 0.0000 0.0000 7.7684" Properties=species:S:1:pos:R:3 pbc="T T T"
Y 0.0000 0.0000 0.0000
Ag 0.0000 2.8746 3.1160
Ag 2.4895 1.4373 4.6524
C 0.0000 2.8746 6.4094
C 2.4895 1.4373 1.3590
O -1.2961 2.9211 6.4083
O 0.6078 1.7289 6.4083
O 1.8011 0.3381 1.3600
O 0.6884 3.9738 6.4083
O 1.8817 2.5830 1.3600
O 3.7856 1.3908 1.3600
```

Record 2
AcLa8Ho3: simulated powder diffraction line list (Cu Kα X-rays), based on a cell relaxed with GGA-PBE.
Neutral-atom scattering factors, no anomalous dispersion.

Principal peaks in the range 2θ from 10° to 90°, sorted by position:
15.08 deg, 5.874 Å, rel. 21; 21.37 deg, 4.158 Å, rel. 25; 30.34 deg, 2.946 Å, rel. 74; 30.48 deg, 2.933 Å, rel. 27; 30.63 deg, 2.919 Å, rel. 100; 34.15 deg, 2.625 Å, rel. 35; 43.53 deg, 2.079 Å, rel. 25; 49.10 deg, 1.856 Å, rel. 18

Atomic structure:
```
12
Lattice="-3.3996 5.7959 5.8949 3.3996 -5.7959 5.8949 3.3996 5.7959 -5.8949" Properties=species:S:1:pos:R:3 pbc="T T T"
Ac 0.0000 0.0000 0.0000
La 3.3996 3.7681 -2.8799
La 1.4925 3.2810 0.0000
La 1.9071 -2.5149 5.8949
La 0.0000 2.0278 3.0150
La 3.3996 3.7681 2.8799
La 1.4925 8.3108 0.0000
La 1.9071 2.5149 5.8949
La 0.0000 2.0278 8.7748
Ho 3.3996 0.0000 3.3469
Ho 0.0000 0.0000 5.8949
Ho 0.0000 5.7959 2.5480
```

Record 3
Sm2ErCr2C4: simulated powder diffraction line list (Cu Kα X-rays), based on a cell relaxed with GGA-PBE.
Neutral-atom scattering factors, no anomalous dispersion.

Principal peaks in the range 2θ from 10° to 90°, sorted by position:
26.84 deg, 3.322 Å, rel. 82; 27.80 deg, 3.210 Å, rel. 72; 31.46 deg, 2.844 Å, rel. 75; 34.18 deg, 2.623 Å, rel. 100; 37.18 deg, 2.418 Å, rel. 39; 39.89 deg, 2.260 Å, rel. 61; 40.42 deg, 2.232 Å, rel. 89; 53.16 deg, 1.723 Å, rel. 39

Atomic structure:
```
9
Lattice="6.5908 -1.7236 0.0000 6.5908 1.7236 0.0000 -1.9710 0.0000 5.6879" Properties=species:S:1:pos:R:3 pbc="T T T"
Sm 1.6795 0.0000 0.2325
Sm 9.5311 0.0000 5.4555
Er -0.9855 0.0000 2.8440
Cr 3.2232 0.0000 2.8606
Cr 7.9874 0.0000 2.8273
C 1.4861 0.0000 3.8495
C 4.5001 0.0000 4.1742
C 6.7105 0.0000 1.5138
C 9.7245 0.0000 1.8384
```

Record 4
AcNdHo4Er2: simulated powder diffraction line list (Cu Kα X-rays), based on a cell relaxed with GGA-PBE.
Neutral-atom scattering factors, no anomalous dispersion.

Principal peaks in the range 2θ from 10° to 90°, sorted by position:
=====

Robinson Crusoe 398 Istanbul Bookstore established in 1994, Robinson Crusoe 389 is one of the best-known English language bookstores in Istanbul. It is located on the fourth floor of the art gallery SALT Beyoğlu on İstiklal Caddesi, and it has a wide selection of books from fiction to children’s books and art books. Anything not in store can be ordered, which the staff will be very happy to help with. As an independent bookstore, Robinson Crusoe 389 is a good choice for book hunting and interaction with locals.

Rutiga Golvet / Checker Floor Royal Institute of Art Stockholm

Walden. Film magazine

WELD Weld is an artist-driven platform for dance and the arts. The organization’s goal is to be investigative, critical and experimental. The platform seems mainly to develop and strengthen the art form and the concept of dancing and working for national, international exchanges and collaborations.